_File_
<<<
[1]
First-principles (PBE) data for a relaxed LiPa2MnS5 crystal, as listed in the Alexandria database.

Cell lengths 3.748, 8.162, 11.386 Å; angles 90.00, 90.00, 103.27 degrees
Each line ends with the local moment (μB).
Element x y z (fractional)
Li: 0.815 0.630 0.496  0.00
Li: 0.185 0.370 0.996  0.00
Pa: 0.866 0.731 0.805  -0.55
Pa: 0.119 0.238 0.680  -0.61
Pa: 0.134 0.269 0.305  -0.55
Pa: 0.881 0.762 0.180  -0.61
Mn: 0.490 0.980 0.984  3.27
Mn: 0.510 0.020 0.484  3.27
S: 0.345 0.690 0.998  0.03
S: 0.688 0.376 0.840  0.03
S: 0.497 0.994 0.786  0.02
S: 0.296 0.592 0.658  0.03
S: 0.961 0.921 0.576  0.02
S: 0.655 0.310 0.498  0.03
S: 0.312 0.624 0.340  0.03
S: 0.503 0.006 0.286  0.02
S: 0.704 0.408 0.158  0.03
S: 0.039 0.079 0.076  0.02

Computed properties:
As for the space group: Cmc2_1. The value obtained for the formation energy without anion corrections is -1.355 eV per atom. The calculation puts the total energy at -0.514 Ry per atom.

[2]
First-principles (PBE) data for a relaxed Ga2Ni3 crystal, as listed in the Alexandria database.

Cell lengths 3.965, 3.965, 4.926 Å; angles 90.00, 90.00, 120.00 degrees
Element x y z (fractional)
Ga: 0.667 0.333 0.814
Ga: 0.333 0.667 0.186
Ni: 0.667 0.333 0.332
Ni: 0.333 0.667 0.668
Ni: 0.000 0.000 0.000

Computed properties:
As for the space group: P-3m1. The calculation puts the total energy at -0.357 Ry per atom. As for the calculated formation energy: -0.18 eV/atom.

[3]
First-principles (PBE) data for a relaxed MgCuRh2Pb crystal, as listed in the Alexandria database.

Cell lengths 4.690, 4.738, 4.690 Å; angles 90.00, 90.00, 90.00 degrees
Element x y z (fractional)
Pb: 0.000 0.500 0.000
Mg: 0.500 0.500 0.500
Rh: 0.000 0.000 0.500
Rh: 0.500 0.000 0.000
Cu: 0.000 0.000 0.000

Computed properties:
As for the space group: P4/mmm. The calculation puts the total energy at -0.306 Ry per atom. As for the calculated formation energy: 0.66 eV/atom.

[4]
First-principles (PBE) data for a relaxed Ti3CdCl crystal, as listed in the Alexandria database.

Cell lengths 5.155, 5.155, 5.155 Å; angles 90.00, 90.00, 90.00 degrees
Each line ends with the local moment (μB).
Element x y z (fractional)
Cl: 0.500 0.500 0.500  0.01
Ti: 0.000 0.500 0.000  1.19
Ti: 0.000 0.000 0.500  1.46
Ti: 0.500 0.000 0.000  1.32
Cd: 0.000 0.000 0.000  0.00

Computed properties:
As for the space group: Pm-3m. The value obtained for the formation energy without anion corrections is 1.139 eV per atom. The calculation puts the total energy at -0.305 Ry per atom.

[5]
First-principles (PBE) data for a relaxed Sb2Au crystal, as listed in the Alexandria database.

Cell lengths 5.383, 5.383, 2.982 Å; angles 90.00, 90.00, 120.00 degrees
Element x y z (fractional)
Au: 0.000 0.000 0.000
Sb: 0.333 0.667 0.500
Sb: 0.667 0.333 0.500

Computed properties:
As for the space group: P6/mmm. The value obtained for the formation energy without anion corrections is 0.234 eV per atom. The calculation puts the total energy at -0.265 Ry per atom.

[6]
First-principles (PBE) data for a relaxed ZrCrGe crystal, as listed in the Alexandria database.

Cell lengths 4.167, 6.283, 7.671 Å; angles 90.00, 90.00, 90.00 degrees
Element x y z (fractional)
Cr: 0.000 0.846 0.175
Cr: 0.000 0.154 0.175
Cr: 0.500 0.346 0.675
Cr: 0.500 0.654 0.675
Ge: 0.000 0.288 0.860
Ge: 0.000 0.712 0.860
Ge: 0.500 0.788 0.360
Ge: 0.500 0.212 0.360
Zr: 0.000 0.000 0.561
Zr: 0.500 0.500 0.061
Zr: 0.000 0.500 0.438
Zr: 0.500 0.000 0.938

Computed properties:
As for the space group: Imm2. The calculation puts the total energy at -0.579 Ry per atom. As for the calculated formation energy: -0.28 eV/atom.


1.
A plane-wave DFT calculation with PBE was carried out for a geometry-optimized RbSN2Cl structure.

The structure in POSCAR format:
```
RbSN2Cl
1.0
-4.152 -1.975 -1.177
1.985 -4.305 0.220
-1.181 -0.305 4.676
S N Rb Cl
1 2 1 1
Direct
0.000 0.000 0.500 S
0.000 0.500 0.000 N
0.500 0.000 0.000 N
0.500 0.500 0.500 Rb
0.000 0.000 0.000 Cl
```
>>>
_To do_
Now retype the block further above character by character.
_Response_
[1]
First-principles (PBE) data for a relaxed LiPa2MnS5 crystal, as listed in the Alexandria database.

Cell lengths 3.748, 8.162, 11.386 Å; angles 90.00, 90.00, 103.27 degrees
Each line ends with the local moment (μB).
Element x y z (fractional)
Li: 0.815 0.630 0.496  0.00
Li: 0.185 0.370 0.996  0.00
Pa: 0.866 0.731 0.805  -0.55
Pa: 0.119 0.238 0.680  -0.61
Pa: 0.134 0.269 0.305  -0.55
Pa: 0.881 0.762 0.180  -0.61
Mn: 0.490 0.980 0.984  3.27
Mn: 0.510 0.020 0.484  3.27
S: 0.345 0.690 0.998  0.03
S: 0.688 0.376 0.840  0.03
S: 0.497 0.994 0.786  0.02
S: 0.296 0.592 0.658  0.03
S: 0.961 0.921 0.576  0.02
S: 0.655 0.310 0.498  0.03
S: 0.312 0.624 0.340  0.03
S: 0.503 0.006 0.286  0.02
S: 0.704 0.408 0.158  0.03
S: 0.039 0.079 0.076  0.02

Computed properties:
As for the space group: Cmc2_1. The value obtained for the formation energy without anion corrections is -1.355 eV per atom. The calculation puts the total energy at -0.514 Ry per atom.

[2]
First-principles (PBE) data for a relaxed Ga2Ni3 crystal, as listed in the Alexandria database.

Cell lengths 3.965, 3.965, 4.926 Å; angles 90.00, 90.00, 120.00 degrees
Element x y z (fractional)
Ga: 0.667 0.333 0.814
Ga: 0.333 0.667 0.186
Ni: 0.667 0.333 0.332
Ni: 0.333 0.667 0.668
Ni: 0.000 0.000 0.000

Computed properties:
As for the space group: P-3m1. The calculation puts the total energy at -0.357 Ry per atom. As for the calculated formation energy: -0.18 eV/atom.

[3]
First-principles (PBE) data for a relaxed MgCuRh2Pb crystal, as listed in the Alexandria database.

Cell lengths 4.690, 4.738, 4.690 Å; angles 90.00, 90.00, 90.00 degrees
Element x y z (fractional)
Pb: 0.000 0.500 0.000
Mg: 0.500 0.500 0.500
Rh: 0.000 0.000 0.500
Rh: 0.500 0.000 0.000
Cu: 0.000 0.000 0.000

Computed properties:
As for the space group: P4/mmm. The calculation puts the total energy at -0.306 Ry per atom. As for the calculated formation energy: 0.66 eV/atom.

[4]
First-principles (PBE) data for a relaxed Ti3CdCl crystal, as listed in the Alexandria database.

Cell lengths 5.155, 5.155, 5.155 Å; angles 90.00, 90.00, 90.00 degrees
Each line ends with the local moment (μB).
Element x y z (fractional)
Cl: 0.500 0.500 0.500  0.01
Ti: 0.000 0.500 0.000  1.19
Ti: 0.000 0.000 0.500  1.46
Ti: 0.500 0.000 0.000  1.32
Cd: 0.000 0.000 0.000  0.00

Computed properties:
As for the space group: Pm-3m. The value obtained for the formation energy without anion corrections is 1.139 eV per atom. The calculation puts the total energy at -0.305 Ry per atom.

[5]
First-principles (PBE) data for a relaxed Sb2Au crystal, as listed in the Alexandria database.

Cell lengths 5.383, 5.383, 2.982 Å; angles 90.00, 90.00, 120.00 degrees
Element x y z (fractional)
Au: 0.000 0.000 0.000
Sb: 0.333 0.667 0.500
Sb: 0.667 0.333 0.500

Computed properties:
As for the space group: P6/mmm. The value obtained for the formation energy without anion corrections is 0.234 eV per atom. The calculation puts the total energy at -0.265 Ry per atom.

[6]
First-principles (PBE) data for a relaxed ZrCrGe crystal, as listed in the Alexandria database.

Cell lengths 4.167, 6.283, 7.671 Å; angles 90.00, 90.00, 90.00 degrees
Element x y z (fractional)
Cr: 0.000 0.846 0.175
Cr: 0.000 0.154 0.175
Cr: 0.500 0.346 0.675
Cr: 0.500 0.654 0.675
Ge: 0.000 0.288 0.860
Ge: 0.000 0.712 0.860
Ge: 0.500 0.788 0.360
Ge: 0.500 0.212 0.360
Zr: 0.000 0.000 0.561
Zr: 0.500 0.500 0.061
Zr: 0.000 0.500 0.438
Zr: 0.500 0.000 0.938

Computed properties:
As for the space group: Imm2. The calculation puts the total energy at -0.579 Ry per atom. As for the calculated formation energy: -0.28 eV/atom.


1.
A plane-wave DFT calculation with PBE was carried out for a geometry-optimized RbSN2Cl structure.

The structure in POSCAR format:
```
RbSN2Cl
1.0
-4.152 -1.975 -1.177
1.985 -4.305 0.220
-1.181 -0.305 4.676
S N Rb Cl
1 2 1 1
Direct
0.000 0.000 0.500 S
0.000 0.500 0.000 N
0.500 0.000 0.000 N
0.500 0.500 0.500 Rb
0.000 0.000 0.000 Cl
```